Friday, July 21, 2006

Friday Random Ten

priorities, people. here's my Friday list -
Red Dirt Song - Jimmy Lafave
Summer - Shy Child
I Know You Rider - Max Creek
Help Me, Suzanne - Rhett Miller
Senorita - Los Lonely Boys
Light - The Benjamin Gate
Broken Arrow - Neil Young
Urge For Going - Tom Rush
Everyday - Agents of Good Roots
Finale: Allegro Molto (Symphony #3) - Ludwig von Beethoven

say hello at least if you aren't leaving your list!

Thursday, July 20, 2006

Did we do this already?

there are so many things to say and so little time to say them, and yet i wonder if this is a repeat? thanks to miffy who had this show up on my myspace page...
You scored as Christianity. Your views are most similar to those of Christianity. Do more research on Christianity and possibly consider being baptized and accepting Jesus, if you aren't already Christian.

Christianity is the second of the Abrahamic faiths; it follows Judaism and is followed by Islam. It differs in its belief of Jesus, as not a prophet nor historical figure, but as God in human form. The Holy Trinity is the concept that God takes three forms: the Father, the Son (Jesus), and the Holy Ghost (sometimes called Holy Spirit). Jesus taught the idea of instead of seeking revenge, one should love his or her neighbors and enemies. Christians believe that Jesus died on the cross to save humankind and forgive people's sins.

• Calculated molecules, kept here for reference:
=====
[1]
The following is a quantum chemistry calculation of a molecular structure, C20H42NP3PdSe in a non-equilibrium geometry, from the OMol25 dataset.

Computed properties:
⟨S²⟩   6.0414
E   -4393.65526 hartree
Energy relative to the best compared isomer or geometry (same formula, charge and spin)   126.7 kJ/mol
Kohn-Sham gap (spin up / spin down)   6.88 / 5.17 eV
Net charge   +4
Molecular weight   574.87 g mol⁻¹
Spin multiplicity   5
E_HOMO (spin up / spin down)   -19.110 / -20.655 eV

Each line ends with the Löwdin spin population.
Geometry (Å):
Pd -1.159 0.388 -0.363  0.833
P -0.430 2.010 1.373  0.272
P -3.333 0.176 -0.012  0.254
P 2.884 -0.718 -0.945  0.103
H -2.446 -1.264 -2.141  0.008
C -1.486 -1.545 -1.733  0.220
C -1.335 -1.786 -0.342  0.024
H -2.127 -2.266 0.242  0.006
C -0.088 3.878 1.304  0.048
C -1.513 1.988 2.867  0.042
C 1.203 1.493 2.052  0.054
C -4.309 -0.837 -1.123  0.035
C -3.686 -0.577 1.571  0.039
C -4.171 1.770 -0.169  0.068
C 3.795 -2.099 -1.667  0.025
C 2.282 -1.244 0.666  0.015
C 3.822 0.856 -1.019  0.013
H -0.806 -2.036 -2.464  0.007
H -0.334 -2.091 -0.061  0.003
H 0.147 4.239 2.338  0.011
H -0.965 4.445 0.928  0.000
H 0.773 4.076 0.627  0.000
H -1.121 2.650 3.656  0.010
H -1.527 0.972 3.269  0.000
H -2.540 2.281 2.599  0.000
H 1.488 2.065 2.945  0.012
H 1.978 1.628 1.288  0.001
H 1.133 0.434 2.328  0.001
H -5.214 -0.325 -1.400  0.006
H -4.454 -1.864 -0.749  0.001
H -3.777 -0.850 -2.072  0.005
H -4.432 0.052 2.072  0.005
H -2.795 -0.680 2.198  0.003
H -4.088 -1.576 1.378  0.003
H -5.096 1.582 -0.698  0.009
H -3.595 2.470 -0.771  0.006
H -4.360 2.165 0.825  0.002
H 4.859 -1.842 -1.653  0.004
H 3.481 -2.299 -2.700  0.002
H 3.633 -2.964 -1.012  0.001
H 2.439 -2.335 0.761  0.001
H 1.209 -1.042 0.861  0.006
H 2.860 -0.787 1.470  0.002
H 4.857 0.651 -1.332  0.001
H 3.807 1.345 -0.029  0.001
H 3.375 1.542 -1.750  0.007
C 1.148 0.225 -4.246  0.255
C 1.350 -1.168 -4.357  0.073
C 1.898 -1.701 -5.519  0.069
C 2.316 -0.825 -6.520  0.233
C 1.992 0.548 -6.468  0.022
C 1.291 1.071 -5.381  0.108
Se 0.931 1.091 -2.626  1.004
H 1.871 -0.487 -1.943  0.049
H 1.139 -1.789 -3.489  0.000
H 2.013 -2.765 -5.610  0.001
H 2.955 -1.187 -7.317  0.009
H 2.383 1.240 -7.202  -0.001
H 1.039 2.137 -5.305  0.008
C 0.294 -0.432 6.660  0.000
C -0.570 -1.355 5.767  0.000
C -0.301 -1.253 4.336  0.000
N -0.043 -1.217 3.207  0.000
H 1.319 -0.727 6.388  0.000
H 0.047 -0.615 7.718  0.000
H 0.124 0.652 6.497  0.000
H -0.414 -2.419 6.019  0.000
H -1.623 -1.155 5.974  0.000

Atoms 1-3, force components in eV/Å:
Pd 1.37 1.34 0.51
P 1.52 1.95 2.35
P -2.99 0.16 0.26

[2]
The following is a quantum chemistry calculation of a molecular structure, C20H43Cl2F5P2Ti in a non-equilibrium geometry, from the OMol25 dataset.

Computed properties:
E   -3739.62458 hartree
Kohn-Sham gap (spin up / spin down)   4.28 / 4.29 eV
Molecular weight   559.28 g mol⁻¹
E_HOMO (spin up / spin down)   -5.731 / -5.731 eV

Each line ends with the Löwdin charge.
Geometry (Å):
=====
• So much for the calculated molecules:



















Which religion is the right one for you? (new version)
created with

Wednesday, July 19, 2006

# What comes next are calculated molecules, not part of the article
____________
{
  "formula": "C4H5NO",
  "method": "wB97M-V/def2-TZVPD",
  "elements": ["C", "C", "N", "C", "C", "O", "H", "H", "H", "H", "H"],
  "xyz": [[-0.5425, 1.1893, -1.4984], [0.0069, 0.4918, -0.2701], [-0.4990, -0.7914, -0.0974], [0.0719, -1.3427, 0.9360], [1.0870, -1.0851, 1.7855], [0.8328, 0.9833, 0.5027], [-0.1818, 2.2143, -1.5945], [-1.6374, 1.1831, -1.4510], [-0.2722, 0.6177, -2.3934], [-0.1386, -2.3925, 1.2320], [0.9326, -1.0461, 2.8694]],
  "forces_ev_per_angstrom": [[0.1, 0.0, 0.1], [0.1, 0.0, 0.2], [0.0, -0.1, 0.1], [0.1, -0.1, 0.0], [-0.3, 0.6, -0.4], [-0.3, -0.5, 0.1], [0.0, -0.2, 0.1], [0.2, 0.0, 0.1], [0.0, 0.1, 0.2], [-0.3, -0.2, -0.2], [0.2, 0.5, -0.3]],
  "nbo_charge": [-0.694, 0.661, -0.582, -0.037, 0.039, -0.560, 0.230, 0.242, 0.243, 0.261, 0.197],
  "e_lumo_ev": [-0.9037, -0.9033],
  "orbital_gap_ev": [8.546, 8.547],
  "homo_energy_ev": [-9.450, -9.450],
  "relative_energy_ev": 3.750,
  "total_charge": 0
}

* * * * *

1.
{"formula": "C3H4N4O", "method": "ωB97M-V/def2-TZVPD", "elements": ["H", "N", "N", "C", "C", "N", "C", "N", "H", "O", "H", "H"], "positions_angstrom": [[-3.66771, -0.95539, 0.03521], [-2.66071, -1.02932, -0.14106], [-2.18542, 0.09592, 0.00297], [-0.81947, 0.08917, -0.09164], [-0.04072, 1.20014, -0.09367], [1.30391, 0.84527, -0.16000], [1.27285, -0.57228, -0.06693], [2.22402, -1.39185, -0.07779], [3.05222, -0.84126, -0.14678], [0.00714, -1.02521, 0.09481], [-0.37971, 2.22929, 0.10431], [1.89361, 1.35552, 0.54058]], "mulliken_charge": [0.245, -0.497, -0.213, 0.498, -0.151, -0.280, 0.475, -0.634, 0.258, -0.365, 0.373, 0.290], "total_energy_ha": -410.9006, "max_force_ev_per_a": 2.82, "lumo_ev": 0.0, "charge": 0, "relative_energy_kcal_mol": 64.42, "gap_ha": 0.316}



2.
____________

Parlez-vous Francais? or any other language?

I've got a simple request for y'all. Rachel is a young girl from one of my congregations who is recovering from surgery following a ruptured appendix. She is on the mend, but still would love folks to remember her in prayer. Yesterday I shared with her how via the internet I had alerted folks across the globe to be praying for her recovery. The idea that people in all kinds of places were praying for her was exciting to her. Today we talked about how neat it might be if people were also praying a bunch of different languages.

So here's my request. If you speak a language besides English would you say a prayer for Rachel and then post here the language in which you prayed and the location from which you prayed, i.e. Texas, Alaska, Guam, France, Mexico, etc. When I see her Friday I will relay to her all the different languages in which prayers were offered and the locations as well.

Thanks for helping me lift the spirits of a sick young lady. Oh, and this isn't an urban legend or internet fake. She's a real person in a real hospital and this is a real request.